Job >
Your job: search the notes below for the word "total_charge" and transcribe each line that has it.

Contents >
........
Entry 1:
96
Properties=species:S:1:pos:R:3:forces:R:3 method="wB97M-V/def2-TZVPD" total_charge=-1 spin_multiplicity=7 molar_mass_da=887.70 max_force_ha_per_bohr=0.035 orbital_gap_ev="7.60 / 7.58" e_above_lowest_kcal_mol=0.0 e_lumo_ev="2.43 / 2.43" e_homo_ev="-5.2 / -5.2"
Tb -0.561 0.411 -1.112 0.335 -0.001 0.202
O 3.860 3.175 0.633 -0.028 0.037 0.039
C 4.199 2.844 -0.624 -0.044 0.056 -0.106
C 5.553 2.845 -0.957 0.092 0.002 0.037
C 5.963 2.547 -2.243 -0.055 -0.019 0.061
C 5.029 2.234 -3.225 0.038 -0.008 -0.104
C 3.687 2.200 -2.895 0.002 -0.063 0.018
C 3.251 2.498 -1.606 -0.039 -0.083 -0.027
C 1.803 2.371 -1.302 0.015 0.394 0.394
O 1.032 1.789 -2.124 -0.190 -0.411 0.207
N 1.405 2.915 -0.161 0.449 0.128 -0.018
N 0.083 2.669 0.118 0.145 -0.358 -0.204
C -0.427 3.433 1.004 -0.042 0.021 -0.026
C -1.800 3.350 1.464 -0.264 -0.099 0.065
C -2.250 4.256 2.426 0.082 0.060 -0.048
C -3.567 4.274 2.847 -0.099 0.050 0.096
C -4.470 3.377 2.284 0.090 -0.031 -0.024
C -4.045 2.456 1.346 -0.201 -0.090 0.006
C -2.706 2.397 0.944 0.361 -0.017 -0.084
O -2.300 1.490 0.082 0.064 -0.050 0.881
H 2.862 3.201 0.649 0.019 -0.075 0.000
H 6.270 3.085 -0.181 -0.025 0.019 -0.001
H 7.021 2.551 -2.479 0.001 0.017 -0.012
H 5.348 2.006 -4.233 -0.011 -0.023 0.011
H 2.943 1.924 -3.630 0.006 -0.008 0.011
H 0.185 4.232 1.430 0.072 -0.045 -0.011
H -1.543 4.973 2.830 0.003 -0.007 0.002
H -3.902 4.989 3.587 0.049 0.012 -0.007
H -5.512 3.400 2.581 -0.006 -0.010 -0.001
H -4.741 1.753 0.905 0.025 -0.020 0.007
C -2.795 -1.367 -3.809 -0.030 -0.132 0.022
N -2.117 -2.551 -3.338 0.122 -0.018 0.009
C -1.295 -3.305 -4.260 -0.025 0.005 0.005
C -0.752 -4.421 -3.370 -0.014 -0.017 -0.002
N -0.999 -3.954 -2.009 0.113 0.112 -0.237
C -1.109 -5.001 -1.017 0.027 0.031 0.124
C -1.742 -2.776 -2.042 0.100 -0.064 -0.130
N -2.037 -1.966 -1.083 -0.035 0.413 0.252
C -1.872 -2.411 0.301 -0.039 0.015 0.013
C -2.411 -1.385 1.304 0.129 -0.153 -0.026
N -1.352 -0.526 1.790 0.168 0.179 0.060
C -1.476 0.126 2.886 -0.069 -0.380 -0.005
N -2.588 0.368 3.677 -0.027 0.229 0.078
C -3.934 -0.130 3.581 0.035 -0.002 -0.065
C -2.252 1.095 4.882 0.016 -0.078 0.042
C -0.823 1.559 4.622 0.009 -0.062 -0.078
N -0.400 0.683 3.554 -0.035 0.216 -0.020
C 0.900 0.899 2.970 -0.064 -0.071 0.003
H -2.213 -0.876 -4.589 0.041 0.036 0.042
H -2.946 -0.674 -2.987 -0.033 -0.001 0.001
H -3.767 -1.642 -4.229 -0.016 0.039 0.014
H -0.493 -2.679 -4.664 -0.005 -0.019 0.036
H -1.898 -3.687 -5.087 0.025 -0.005 -0.014
H 0.318 -4.572 -3.522 -0.021 -0.054 -0.012
H -1.265 -5.373 -3.553 -0.068 0.021 0.027
H -0.402 -5.785 -1.287 0.030 0.009 -0.005
H -2.111 -5.450 -0.990 0.008 0.007 -0.012
H -0.848 -4.656 -0.022 0.001 -0.028 -0.052
H -0.818 -2.598 0.540 -0.050 -0.003 0.055
H -2.451 -3.326 0.458 0.061 -0.035 -0.001
H -2.850 -1.956 2.132 -0.035 0.018 -0.072
H -3.208 -0.823 0.801 -0.029 -0.026 0.009
H -4.172 -0.433 2.570 -0.056 0.059 0.091
H -4.623 0.671 3.860 -0.017 0.030 0.007
H -4.101 -0.976 4.262 -0.032 -0.011 -0.038
H -2.316 0.443 5.766 0.013 0.004 -0.012
H -2.942 1.931 5.024 -0.005 0.004 0.014
H -0.176 1.432 5.493 -0.010 0.053 0.016
H -0.788 2.613 4.315 -0.025 0.008 -0.019
H 1.009 1.917 2.584 0.003 0.028 -0.021
H 1.663 0.746 3.739 0.032 -0.044 -0.034
H 1.053 0.199 2.154 0.040 -0.067 -0.077
O -3.798 2.212 -1.741 0.163 -0.418 0.009
C -2.954 1.434 -1.607 -1.036 0.556 -1.363
F -0.853 0.952 -5.780 -0.012 -0.040 0.032
C -0.154 1.166 -4.637 -0.128 -0.281 0.074
F -1.075 1.572 -3.718 0.147 0.101 -0.331
F 0.660 2.190 -4.882 0.071 -0.077 0.036
C 0.550 -0.187 -4.195 -0.286 0.798 -0.454
O 1.390 -0.608 -4.968 0.006 -0.115 0.173
O 0.046 -0.678 -3.149 -0.094 -0.127 0.569
C 3.914 -1.356 2.140 -0.047 0.017 -0.048
C 3.369 -2.099 0.911 0.028 -0.060 0.005
C 4.482 -2.203 -0.141 -0.046 0.026 0.007
C 2.908 -3.504 1.329 0.017 0.032 -0.021
C 2.216 -1.377 0.350 0.106 -0.055 0.073
C 1.238 -0.802 -0.094 0.005 0.058 -0.130
H 4.797 -1.870 2.529 0.004 -0.008 0.009
H 3.160 -1.314 2.928 -0.011 0.019 0.005
H 4.191 -0.335 1.873 -0.007 0.003 0.021
........

Response >
Properties=species:S:1:pos:R:3:forces:R:3 method="wB97M-V/def2-TZVPD" total_charge=-1 spin_multiplicity=7 molar_mass_da=887.70 max_force_ha_per_bohr=0.035 orbital_gap_ev="7.60 / 7.58" e_above_lowest_kcal_mol=0.0 e_lumo_ev="2.43 / 2.43" e_homo_ev="-5.2 / -5.2"